### Entries
┌──
(1)
PBE-GGA ZnCdC4S4N4, optimized geometry; V = 21.3 Å³ per atom; calculated total energy = -0.232 hartree per atom
1.0
-5.613 5.613 2.363
5.613 -5.613 2.363
5.613 5.613 -2.363
Zn Cd C S N
1 1 4 4 4
Cartesian
0.000 0.000 0.000
5.613 0.000 1.181
3.094 4.780 -0.674
6.446 3.094 0.674
2.519 0.833 1.689
-0.833 2.519 3.037
6.919 1.780 -0.185
1.780 4.307 0.185
3.833 1.306 2.548
-1.306 3.833 2.178
4.062 5.089 -1.267
1.551 0.524 1.096
6.137 4.062 1.267
-0.524 1.551 3.630

***

(2)
PBE-GGA Sm3Sc, optimized geometry; V = 31.7 Å³ per atom; calculated total energy = -0.187 hartree per atom
1.0
7.193 0.000 0.000
-3.596 6.229 0.000
0.000 0.000 5.665
Sm Sc
6 2
Cartesian
0.000 2.111 1.416
-1.768 5.173 1.416
1.829 1.056 4.249
1.768 5.173 1.416
5.364 1.056 4.249
3.596 4.118 4.249
0.000 4.153 4.249
3.596 2.076 1.416

***

(3)
PBE-GGA LuP3O9, optimized geometry; V = 14.2 Å³ per atom; calculated total energy = -0.279 hartree per atom
1.0
6.982 0.000 0.000
0.000 9.710 0.000
-0.334 0.000 10.909
Lu P O
4 12 36
Cartesian
1.054 2.427 5.047
1.838 2.427 10.702
4.810 7.282 0.207
5.594 7.282 5.862
1.208 7.282 1.111
1.778 0.118 2.533
1.778 4.737 2.533
1.987 7.282 6.819
2.031 0.349 7.809
2.031 4.506 7.809
4.617 5.204 3.100
4.617 9.361 3.100
4.660 2.427 4.090
4.870 4.973 8.377
4.870 9.592 8.377
5.439 2.427 9.798
0.047 7.282 0.163
0.825 7.282 5.866
0.932 0.863 3.519
0.932 3.992 3.519
0.977 6.060 2.140
0.977 8.505 2.140
1.379 0.916 6.585
1.379 3.939 6.585
1.670 0.897 9.153
1.670 3.958 9.153
1.815 6.090 7.891
1.815 8.475 7.891
2.243 0.849 1.306
2.243 4.006 1.306
2.613 7.282 0.584
3.030 5.356 3.340
3.030 9.209 3.340
3.263 2.427 4.641
3.384 7.282 6.268
3.618 0.501 7.569
3.618 4.354 7.569
4.034 2.427 10.325
4.405 5.704 9.604
4.405 8.861 9.604
4.833 1.235 3.018
4.833 3.620 3.018
4.977 5.752 1.756
4.977 8.813 1.756
5.269 5.770 4.324
5.269 8.794 4.324
5.670 1.205 8.769
5.670 3.650 8.769
5.716 5.718 7.390
5.716 8.847 7.390
5.823 2.427 5.043
6.600 2.427 10.746

***

(4)
PBE-GGA Ba4Li4Ti19O44, optimized geometry; V = 11.8 Å³ per atom; calculated total energy = -0.307 hartree per atom
1.0
5.863 0.000 0.000
0.006 10.032 0.000
0.022 0.019 14.249
Ba Li Ti O
4 4 19 44
Cartesian
0.000 0.000 0.000
0.047 3.073 7.100
2.914 4.949 4.516
2.978 7.955 11.513
0.030 9.948 8.192
0.034 9.668 6.067
2.939 8.211 5.297
2.965 4.713 12.375
0.036 6.533 12.879
0.039 5.053 10.420
0.068 7.835 3.449
1.454 7.326 8.252
1.469 5.609 1.109
1.502 2.360 10.442
1.496 0.624 3.357
2.905 1.600 5.958
2.920 1.308 12.967
2.955 2.870 1.042
2.960 8.305 1.069
3.073 9.837 8.248
3.081 4.876 8.182
4.397 0.628 3.370
4.417 2.321 10.484
4.417 5.616 1.116
5.752 6.441 5.999
5.848 9.681 10.716
5.867 3.331 3.436
0.009 6.389 2.197
0.029 5.073 14.217
0.017 9.685 4.248
0.018 1.468 2.417
0.043 1.409 9.531
0.043 4.602 4.722
0.103 7.973 6.997
0.146 6.483 9.365
1.313 5.738 11.776
1.303 7.189 4.593
1.440 9.023 9.374
1.467 0.676 11.710
1.457 2.177 4.540
1.458 3.971 2.263
1.496 3.955 9.365
1.489 5.706 7.031
1.506 8.967 2.210
1.533 7.223 14.210
1.628 0.725 7.013
1.712 2.143 14.156
2.828 8.310 7.278
2.860 6.361 9.175
2.910 3.232 6.785
2.941 1.389 2.302
2.943 6.497 2.064
2.950 10.026 4.523
2.957 1.540 9.439
2.964 2.883 11.682
2.945 4.682 0.162
2.967 9.631 13.928
4.197 2.142 14.153
4.290 0.673 7.008
4.357 8.987 2.187
4.386 7.229 14.214
4.411 3.986 9.349
4.410 5.481 6.917
4.422 3.972 2.270
4.455 2.184 4.522
4.468 9.232 9.473
4.480 0.707 11.722
4.594 7.213 4.637
4.617 5.751 11.751
5.879 3.196 11.371
5.879 8.308 11.960

***

(5)
PBE-GGA Er2Re2Si2C, optimized geometry; V = 16.9 Å³ per atom; calculated total energy = -0.307 hartree per atom
1.0
10.897 0.000 0.000
0.000 3.978 0.000
-4.184 0.000 5.467
Er Re Si C
4 4 4 2
Cartesian
-0.466 0.000 1.634
1.730 1.989 3.834
4.983 1.989 1.634
7.179 0.000 3.834
1.870 1.989 0.513
-0.605 0.000 4.954
7.319 0.000 0.513
4.843 1.989 4.954
-1.302 1.989 3.713
2.566 0.000 1.754
4.147 0.000 3.713
8.015 1.989 1.754
0.000 1.989 0.000
5.449 0.000 0.000

***

(6)
└──
### Work order
Next, search the calculation results above for the word "Ba" and repeat each line that has it.
### Reply
Ba Li Ti O